Material =
____________
1.
{"formula": "Dy3Ga5", "functional": "PBE", "state": "optimized geometry", "ef_ev_per_atom": -0.655, "lattice_angstrom": [[6.111, 0.000, 0.000], [0.000, 9.702, 0.000], [0.000, 0.000, 11.455]], "species": ["Ga", "Ga", "Ga", "Ga", "Ga", "Ga", "Ga", "Ga", "Ga", "Ga", "Ga", "Ga", "Ga", "Ga", "Ga", "Ga", "Ga", "Ga", "Ga", "Ga", "Dy", "Dy", "Dy", "Dy", "Dy", "Dy", "Dy", "Dy", "Dy", "Dy", "Dy", "Dy"], "fractional_positions": [[0.875, 0.447, 0.091], [0.824, 0.250, 0.748], [0.875, 0.053, 0.091], [0.897, 0.750, 0.799], [0.125, 0.553, 0.909], [0.129, 0.750, 0.506], [0.629, 0.250, 0.994], [0.375, 0.947, 0.409], [0.625, 0.053, 0.591], [0.371, 0.750, 0.006], [0.603, 0.750, 0.299], [0.676, 0.250, 0.248], [0.324, 0.750, 0.752], [0.375, 0.553, 0.409], [0.125, 0.947, 0.909], [0.397, 0.250, 0.701], [0.176, 0.750, 0.252], [0.625, 0.447, 0.591], [0.103, 0.250, 0.201], [0.871, 0.250, 0.494], [0.349, 0.250, 0.426], [0.651, 0.750, 0.574], [0.610, 0.509, 0.852], [0.610, 0.991, 0.852], [0.890, 0.991, 0.352], [0.110, 0.491, 0.648], [0.890, 0.509, 0.352], [0.110, 0.009, 0.648], [0.390, 0.009, 0.148], [0.151, 0.250, 0.926], [0.390, 0.491, 0.148], [0.849, 0.750, 0.074]]}

2.
{"formula": "CdHg4C6S6Br4N6", "functional": "PBE", "state": "optimized geometry", "ef_ev_per_atom": -0.109, "lattice_angstrom": [[0.000, 9.449, 11.957], [3.274, 0.000, 11.957], [3.274, 9.449, 0.000]], "species": ["S", "S", "S", "S", "S", "S", "N", "N", "N", "N", "N", "N", "C", "C", "C", "C", "C", "C", "Br", "Br", "Br", "Br", "Hg", "Hg", "Hg", "Hg", "Cd"], "fractional_positions": [[0.304, 0.351, 0.696], [0.834, 0.353, 0.538], [0.462, 0.725, 0.166], [0.275, 0.538, 0.353], [0.647, 0.166, 0.725], [0.649, 0.696, 0.351], [0.705, 0.177, 0.124], [0.198, 0.664, 0.802], [0.823, 0.295, 0.006], [0.336, 0.802, 0.664], [0.994, 0.124, 0.177], [0.876, 0.006, 0.295], [0.242, 0.534, 0.758], [0.928, 0.221, 0.325], [0.675, 0.474, 0.072], [0.779, 0.072, 0.474], [0.466, 0.758, 0.534], [0.526, 0.325, 0.221], [0.085, 0.320, 0.608], [0.680, 0.915, 0.013], [0.392, 0.013, 0.915], [0.987, 0.608, 0.320], [0.564, 0.818, 0.140], [0.860, 0.522, 0.436], [0.182, 0.436, 0.522], [0.478, 0.140, 0.818], [0.015, 0.985, 0.985]]}

3.
{"formula": "CuH6CN2O3", "functional": "PBE", "state": "optimized geometry", "ef_ev_per_atom": -0.825, "lattice_angstrom": [[-5.812, -7.120, 5.974], [-1.719, -2.693, -4.882], [5.868, -4.874, -0.100]], "species": ["O", "O", "O", "O", "O", "O", "O", "O", "O", "O", "O", "O", "H", "H", "H", "H", "H", "H", "H", "H", "H", "H", "H", "H", "H", "H", "H", "H", "H", "H", "H", "H", "H", "H", "H", "H", "Cu", "Cu", "Cu", "Cu", "N", "N", "N", "N", "N", "N", "N", "N", "C", "C", "C", "C"], "fractional_positions": [[0.746, 0.071, 0.383], [0.754, 0.071, 0.883], [0.246, 0.929, 0.117], [0.254, 0.929, 0.617], [0.855, 0.331, 0.525], [0.654, 0.383, 0.458], [0.154, 0.617, 0.042], [0.645, 0.331, 0.025], [0.145, 0.669, 0.475], [0.346, 0.617, 0.542], [0.846, 0.383, 0.958], [0.355, 0.669, 0.975], [0.992, 0.196, 0.371], [0.029, 0.749, 0.840], [0.845, 0.851, 0.255], [0.093, 0.391, 0.664], [0.875, 0.640, 0.124], [0.492, 0.804, 0.129], [0.508, 0.196, 0.871], [0.471, 0.749, 0.340], [0.125, 0.360, 0.876], [0.345, 0.149, 0.245], [0.155, 0.149, 0.745], [0.606, 0.708, 0.258], [0.593, 0.609, 0.836], [0.625, 0.640, 0.624], [0.907, 0.609, 0.336], [0.375, 0.360, 0.376], [0.655, 0.851, 0.755], [0.008, 0.804, 0.629], [0.894, 0.708, 0.758], [0.971, 0.251, 0.160], [0.394, 0.292, 0.742], [0.106, 0.292, 0.242], [0.407, 0.391, 0.164], [0.529, 0.251, 0.660], [0.926, 0.139, 0.810], [0.426, 0.861, 0.690], [0.574, 0.139, 0.310], [0.074, 0.861, 0.190], [0.407, 0.274, 0.272], [0.467, 0.183, 0.751], [0.533, 0.817, 0.249], [0.907, 0.726, 0.228], [0.093, 0.274, 0.772], [0.967, 0.817, 0.749], [0.593, 0.726, 0.728], [0.033, 0.183, 0.251], [0.757, 0.265, 0.459], [0.243, 0.735, 0.541], [0.257, 0.735, 0.041], [0.743, 0.265, 0.959]]}

4.
____________
Brief =
Now type out the notes earlier on without altering anything.
Result =
1.
{"formula": "Dy3Ga5", "functional": "PBE", "state": "optimized geometry", "ef_ev_per_atom": -0.655, "lattice_angstrom": [[6.111, 0.000, 0.000], [0.000, 9.702, 0.000], [0.000, 0.000, 11.455]], "species": ["Ga", "Ga", "Ga", "Ga", "Ga", "Ga", "Ga", "Ga", "Ga", "Ga", "Ga", "Ga", "Ga", "Ga", "Ga", "Ga", "Ga", "Ga", "Ga", "Ga", "Dy", "Dy", "Dy", "Dy", "Dy", "Dy", "Dy", "Dy", "Dy", "Dy", "Dy", "Dy"], "fractional_positions": [[0.875, 0.447, 0.091], [0.824, 0.250, 0.748], [0.875, 0.053, 0.091], [0.897, 0.750, 0.799], [0.125, 0.553, 0.909], [0.129, 0.750, 0.506], [0.629, 0.250, 0.994], [0.375, 0.947, 0.409], [0.625, 0.053, 0.591], [0.371, 0.750, 0.006], [0.603, 0.750, 0.299], [0.676, 0.250, 0.248], [0.324, 0.750, 0.752], [0.375, 0.553, 0.409], [0.125, 0.947, 0.909], [0.397, 0.250, 0.701], [0.176, 0.750, 0.252], [0.625, 0.447, 0.591], [0.103, 0.250, 0.201], [0.871, 0.250, 0.494], [0.349, 0.250, 0.426], [0.651, 0.750, 0.574], [0.610, 0.509, 0.852], [0.610, 0.991, 0.852], [0.890, 0.991, 0.352], [0.110, 0.491, 0.648], [0.890, 0.509, 0.352], [0.110, 0.009, 0.648], [0.390, 0.009, 0.148], [0.151, 0.250, 0.926], [0.390, 0.491, 0.148], [0.849, 0.750, 0.074]]}

2.
{"formula": "CdHg4C6S6Br4N6", "functional": "PBE", "state": "optimized geometry", "ef_ev_per_atom": -0.109, "lattice_angstrom": [[0.000, 9.449, 11.957], [3.274, 0.000, 11.957], [3.274, 9.449, 0.000]], "species": ["S", "S", "S", "S", "S", "S", "N", "N", "N", "N", "N", "N", "C", "C", "C", "C", "C", "C", "Br", "Br", "Br", "Br", "Hg", "Hg", "Hg", "Hg", "Cd"], "fractional_positions": [[0.304, 0.351, 0.696], [0.834, 0.353, 0.538], [0.462, 0.725, 0.166], [0.275, 0.538, 0.353], [0.647, 0.166, 0.725], [0.649, 0.696, 0.351], [0.705, 0.177, 0.124], [0.198, 0.664, 0.802], [0.823, 0.295, 0.006], [0.336, 0.802, 0.664], [0.994, 0.124, 0.177], [0.876, 0.006, 0.295], [0.242, 0.534, 0.758], [0.928, 0.221, 0.325], [0.675, 0.474, 0.072], [0.779, 0.072, 0.474], [0.466, 0.758, 0.534], [0.526, 0.325, 0.221], [0.085, 0.320, 0.608], [0.680, 0.915, 0.013], [0.392, 0.013, 0.915], [0.987, 0.608, 0.320], [0.564, 0.818, 0.140], [0.860, 0.522, 0.436], [0.182, 0.436, 0.522], [0.478, 0.140, 0.818], [0.015, 0.985, 0.985]]}

3.
{"formula": "CuH6CN2O3", "functional": "PBE", "state": "optimized geometry", "ef_ev_per_atom": -0.825, "lattice_angstrom": [[-5.812, -7.120, 5.974], [-1.719, -2.693, -4.882], [5.868, -4.874, -0.100]], "species": ["O", "O", "O", "O", "O", "O", "O", "O", "O", "O", "O", "O", "H", "H", "H", "H", "H", "H", "H", "H", "H", "H", "H", "H", "H", "H", "H", "H", "H", "H", "H", "H", "H", "H", "H", "H", "Cu", "Cu", "Cu", "Cu", "N", "N", "N", "N", "N", "N", "N", "N", "C", "C", "C", "C"], "fractional_positions": [[0.746, 0.071, 0.383], [0.754, 0.071, 0.883], [0.246, 0.929, 0.117], [0.254, 0.929, 0.617], [0.855, 0.331, 0.525], [0.654, 0.383, 0.458], [0.154, 0.617, 0.042], [0.645, 0.331, 0.025], [0.145, 0.669, 0.475], [0.346, 0.617, 0.542], [0.846, 0.383, 0.958], [0.355, 0.669, 0.975], [0.992, 0.196, 0.371], [0.029, 0.749, 0.840], [0.845, 0.851, 0.255], [0.093, 0.391, 0.664], [0.875, 0.640, 0.124], [0.492, 0.804, 0.129], [0.508, 0.196, 0.871], [0.471, 0.749, 0.340], [0.125, 0.360, 0.876], [0.345, 0.149, 0.245], [0.155, 0.149, 0.745], [0.606, 0.708, 0.258], [0.593, 0.609, 0.836], [0.625, 0.640, 0.624], [0.907, 0.609, 0.336], [0.375, 0.360, 0.376], [0.655, 0.851, 0.755], [0.008, 0.804, 0.629], [0.894, 0.708, 0.758], [0.971, 0.251, 0.160], [0.394, 0.292, 0.742], [0.106, 0.292, 0.242], [0.407, 0.391, 0.164], [0.529, 0.251, 0.660], [0.926, 0.139, 0.810], [0.426, 0.861, 0.690], [0.574, 0.139, 0.310], [0.074, 0.861, 0.190], [0.407, 0.274, 0.272], [0.467, 0.183, 0.751], [0.533, 0.817, 0.249], [0.907, 0.726, 0.228], [0.093, 0.274, 0.772], [0.967, 0.817, 0.749], [0.593, 0.726, 0.728], [0.033, 0.183, 0.251], [0.757, 0.265, 0.459], [0.243, 0.735, 0.541], [0.257, 0.735, 0.041], [0.743, 0.265, 0.959]]}

4.